Interview and questionnaire assessment of cognitive impairment in subjects at ultra-high risk for psychosis: Associations with cognitive test performance, psychosocial functioning, and positive symptoms

My cognitive performance increased when I first went on meds. Thought blocking and a blank mind are a symptoms of Sz and may be lessened with meds.

Description of the change’s nature that has occurred in the self-knowledge data (personal beliefs) as a cognitive deficiency (perceptual impairment) is considered a wrong defining / determining for the basic nature of the change

The level of change that has occurred in the self-convictions is considered the culmination of what can happen from a change to a thing,event,case,condition, a state,process or phenomenon related our human nature

It is virtually impossible to find a patterns of change in a condition similar to the change that sz’s pathogen (hallucination) induces in the basic personal beliefs /self-convictions

The nature of change is considered match smarter than the intuition involved in any theoretical models,and understanding the change’s nature is a blatant challenge to the elites of human genius in all fields of knowledge

In the conviction of 99% of the human census,the reality of the actual change that sz’s pathogen induces remains implausible,because it is seems as a mutation in the self-convictions that impossible to happen in the individual or / collective level

Attached: records of crystals:
........
Diffraction record for Tb2HoSn3Pt3. The X-ray powder pattern is computed, not measured: it uses a cell relaxed with GGA-PBE and Cu Kα, 1.54184 Å.
Peak positions follow from Bragg's law for the DFT cell and can differ from measured ones.

Main lines, in order of rising 2θ (5 to 70 degrees two-theta):
index, 2θ (°), I/Imax
0 0 2, 23.68, 14
1 3 1, 32.58, 83
1 4 0, 35.45, 100
0 1 3, 36.53, 33
0 6 0, 41.63, 48
1 4 2, 43.08, 39
2 0 0, 44.97, 28
2 1 3, 59.27, 17
2 6 0, 62.94, 29
1 7 3, 66.81, 35

Cell and atoms:
abc: 4.031 13.007 7.521
angles: 90.00 90.00 90.00
Space group Amm2 (No. 38)
Asymmetric unit:
Tb 0.000 0.203 0.000 (multiplicity 4)
Ho 0.000 0.000 0.391 (multiplicity 2)
Sn 0.500 0.000 0.055 (multiplicity 2)
........
Here the text continues:

The nature of the change
A concerted series of new processes that ultimately lead to the use of self-knowledge units in producing a new behavioral responses towards the self,the others and most daily life events outside all possible rational expectations (outside the logic of potential right / wrong ) ,especially regard with the observations,analyzes,perceptions and conclusions of any external observer

First of all,a distinction must be made between the actual reality of sz condition and the data of the theoretical hypothesis

In reality,the sz causes a malicious falsification of the self-convictions inits which is known by the term "cognitive deficiency " or " cognitive impairment " or delusional beliefs
While the theoretical hypothesis on contrary,it is assumed that the cognitive impairment causes the sz condition and its symptoms !!

During the effect of the psychotic factor ( functional cause of sz) on the mental side;
The basic purpose is to change and modify the self-convictions that associated with the mental concept of any idea that was mentally treated and understood in the present time

Therefore the bilateral interaction occurs between the psychotic factor and the data of self-knowledge which be used by the person to understand the reality of any inputs / influence

Regardless the degree of right /wrong in the concept of self-knowledge units ,the pathogen has seeks to modifies the self-convictions of any idea treated mentally even if the concept is wrong or the self-conviction itself ,it modifies its concept to becomes outside the box of the potential right and wrong (far from reality or outside any rational expectations )

So,what is the self-knowledge ?
the detailed content of the cognitive culture units,which acquired with self-experiences /education stages over the years of life about the oneself,others and the world of things

The personal cognitive beliefs about everything
All what has been known by the person about everything throughout all his life stages
The content of the individual memories about anything he knew
The mental symbols that the person keeps them in his memory and using them during his expression about them
the effect focus on the self-knowledge